-- File --
********
Compound: Li9Mn2Co5O16
Source: the Materials Project
Functional: PBE with a Hubbard U
Structure: optimized geometry

E above lowest polymorph ... 0.231 eV per atom
Energy with MP2020 corrections ... -6.327 eV/atom
Magnetic moment ... 0.1 μB/cell
Energy ... -5.623 eV per atom
E_form ... -1.63 eV/atom

Cell: 2.947 5.096 19.379 Å, 94.17 91.18 91.51°
Space group P1 (No. 1)
Symmetry-distinct sites (fractional):
1 Li 0.000 0.000 0.000 (multiplicity 1)
2 Li 0.000 0.268 0.748 (multiplicity 1)
3 Li 0.002 0.749 0.253 (multiplicity 1)
4 Li 0.490 0.999 0.510 (multiplicity 1)
5 Li 0.494 0.264 0.255 (multiplicity 1)
6 Li 0.499 0.380 0.629 (multiplicity 1)
7 Li 0.500 0.495 0.000 (multiplicity 1)
8 Li 0.510 0.761 0.747 (multiplicity 1)
9 Li 0.990 0.498 0.514 (multiplicity 1)
10 Mn 0.499 0.879 0.128 (multiplicity 1)
11 Mn 0.997 0.130 0.381 (multiplicity 1)
12 Co 0.000 0.631 0.875 (multiplicity 1)
13 Co 0.000 0.880 0.628 (multiplicity 1)
14 Co 0.497 0.630 0.381 (multiplicity 1)
15 Co 0.501 0.131 0.876 (multiplicity 1)
16 Co 0.998 0.378 0.128 (multiplicity 1)
17 O 0.000 0.829 0.435 (multiplicity 1)
18 O 0.001 0.151 0.574 (multiplicity 1)
19 O 0.018 0.959 0.819 (multiplicity 1)
20 O 0.042 0.674 0.070 (multiplicity 1)
21 O 0.483 0.973 0.324 (multiplicity 1)
22 O 0.486 0.805 0.934 (multiplicity 1)
23 O 0.490 0.180 0.071 (multiplicity 1)
24 O 0.491 0.708 0.573 (multiplicity 1)
25 O 0.504 0.579 0.187 (multiplicity 1)
26 O 0.510 0.288 0.437 (multiplicity 1)
27 O 0.511 0.049 0.682 (multiplicity 1)
28 O 0.520 0.456 0.817 (multiplicity 1)
29 O 0.954 0.083 0.187 (multiplicity 1)
30 O 0.982 0.307 0.934 (multiplicity 1)
31 O 0.996 0.432 0.324 (multiplicity 1)
32 O 0.999 0.612 0.683 (multiplicity 1)

Compound: KAlNiF6
Source: the Materials Project
Functional: PBE with a Hubbard U
Structure: optimized geometry

Energy with MP2020 corrections ... -5.665 eV/atom
Magnetic moment ... 8.0 μB/cell
Energy ... -5.075 eV per atom
E_form ... -3.21 eV/atom

Cell: 7.091 7.140 10.079 Å, 90.00 90.00 90.00°
Space group Imma (No. 74)
Symmetry-distinct sites (fractional):
1 K 0.000 0.250 0.132 (multiplicity 4)
2 Al 0.250 0.250 0.750 (multiplicity 4)
3 Ni 0.000 0.000 0.500 (multiplicity 4)
4 F 0.000 0.250 0.412 (multiplicity 4)
5 F 0.000 0.250 0.801 (multiplicity 4)
6 F 0.210 0.068 0.628 (multiplicity 16)

Compound: YV2O4
Source: the Materials Project
Functional: PBE with a Hubbard U
Structure: optimized geometry

E above lowest polymorph ... 0.124 eV per atom
Energy with MP2020 corrections ... -9.054 eV/atom
Magnetic moment ... 20.0 μB/cell
Energy ... -8.175 eV per atom
E_form ... -2.71 eV/atom

Cell: 5.828 5.828 10.061 Å, 90.00 90.00 90.00°
Space group I4_1/a (No. 88, origin choice 2)
Symmetry-distinct sites (fractional):
1 Y 0.000 0.250 0.125 (multiplicity 4)
2 V 0.000 0.000 0.500 (multiplicity 8)
3 O 0.150 0.447 0.322 (multiplicity 16)

Compound: K2MnTlF6
Source: the Materials Project
Functional: PBE with a Hubbard U
Structure: optimized geometry

Energy with MP2020 corrections ... -5.223 eV/atom
Magnetic moment ... 16.0 μB/cell
Energy ... -4.779 eV per atom
E_form ... -2.70 eV/atom

Cell: 9.095 9.095 9.095 Å, 90.00 90.00 90.00°
Space group Fm-3m (No. 225)
Symmetry-distinct sites (fractional):
1 K 0.250 0.250 0.250 (multiplicity 8)
2 Mn 0.000 0.000 0.000 (multiplicity 4)
3 Tl 0.000 0.000 0.500 (multiplicity 4)
4 F 0.000 0.000 0.216 (multiplicity 24)

Compound: CaDyCo4O12
Source: the Materials Project
Functional: PBE with a Hubbard U
Structure: optimized geometry

Energy with MP2020 corrections ... -6.649 eV/atom
Magnetic moment ... 29.8 μB/cell
Energy ... -5.827 eV per atom
E_form ... -1.40 eV/atom

Cell: 7.467 7.390 7.448 Å, 90.00 90.00 90.00°
Space group Amm2 (No. 38)
Symmetry-distinct sites (fractional):
1 Ca 0.000 0.000 0.000 (multiplicity 2)
2 Dy 0.500 0.000 0.529 (multiplicity 2)
3 Co 0.247 0.246 0.262 (multiplicity 8)
4 O 0.000 0.219 0.259 (multiplicity 4)
5 O 0.231 0.000 0.733 (multiplicity 4)
6 O 0.252 0.227 0.011 (multiplicity 8)
********
-- Brief --
The reader should find "0.497 0.630" and "0.954 0.083" in the rows further up, and transcribe these two lines and those between.
-- Done --
14 Co 0.497 0.630 0.381 (multiplicity 1)
15 Co 0.501 0.131 0.876 (multiplicity 1)
16 Co 0.998 0.378 0.128 (multiplicity 1)
17 O 0.000 0.829 0.435 (multiplicity 1)
18 O 0.001 0.151 0.574 (multiplicity 1)
19 O 0.018 0.959 0.819 (multiplicity 1)
20 O 0.042 0.674 0.070 (multiplicity 1)
21 O 0.483 0.973 0.324 (multiplicity 1)
22 O 0.486 0.805 0.934 (multiplicity 1)
23 O 0.490 0.180 0.071 (multiplicity 1)
24 O 0.491 0.708 0.573 (multiplicity 1)
25 O 0.504 0.579 0.187 (multiplicity 1)
26 O 0.510 0.288 0.437 (multiplicity 1)
27 O 0.511 0.049 0.682 (multiplicity 1)
28 O 0.520 0.456 0.817 (multiplicity 1)
29 O 0.954 0.083 0.187 (multiplicity 1)